Save Water Dollars-Use Micro Sprinklers
E. White Smith
Tacoma, Washington
Sometimes important new things show up that we rhododendron lovers can put to good use. There are many different sprinkler systems available that do a good job of watering rhododendrons. Some sprinkler heads can cost many dollars and require a large pipe size and a large water meter or supply. Others are more economical. Recently I have changed my home yard over to "micro-sprinklers".
One of my first considerations was water cost. Many people think that we in the Pacific Northwest have very low water cost which is partially true. But, I am a park maintenance superintendent for the Metropolitan Park District of Tacoma. My crews take care of two thirds of the parks in the city of Tacoma. We have an annual water bill of over $70,000. Water does cost money for sure.
Another good reason I changed over to micro-sprinklers is that they will not only cut down on water use but will need a much smaller source of water. Water meters are also expensive. In the city of Tacoma we pay $5.50 per month on our water bill for a 5/8" meter. If we need more water we can have a 1 " meter installed. We will need to pay someone to do the work and then have an added cost of about $15 per month for the meter. Move up to a 2" meter and the monthly meter cost will go up to $50 - $60. We have one 10" water meter that cost us $850 per month plus the water we use.
Still another reason for using micro-sprinklers is to conserve water. Yes, we have a water shortage at times. As any area grows there is a lot of demand put onto the water distribution system. When these distribution systems need to be sized to handle extra needs the cost is very high. Some water companies put an 100% surcharge on their customers' bills to finance new water supplies and distribution systems. I like to think that my little bit of savings helps. If nothing else it should help my pocket book.
Sometimes water is harmful to our soils and plants. It is not all pure and good as we would like to think. Look at what is happening to the good farm soils in California. Micro-sprinklers put on very little water per setting.
I think it is a good idea to start the sprinklers running early in the spring and not let the root zone get dry. Then the small amount of water that the micro-sprinklers apply can keep the soil damp. I put aluminum pie tins under one of my micros and at 20 minute timings I did not get enough water to measure, but the root zone and the soil stayed nice and damp.
Water leaches plant nutrients down and away from the root zone. When we apply fertilizer it is not our normal objective to wash the plant food through the soil, but this is what happens with heavy watering. Nitrogen fertilizers are often very soluble and move through soils almost as fast as water. Even the so called "slow release" nitrogen will leach after it is released.
Micro-sprinklers can also add humidity on hot days and frost control in the early spring. You can easily water only where water is needed with micros and not waste water on the house, driveway, and so on, because you can place the sprinklers where you want water to be applied.
What You Will Need
Automatic sprinkler systems have a few fixed costs that micro-sprinklers can help hold down. For an automatic system you will need some kind of timer or sprinkler clock. I use a six station, solid state, easy to program clock sold by the Rain Jet Company. This clock can be found for about $55.
You will also need one or more electric control valves that the clock can open and close. Electric valves cost from $12 to $35 for 3/4" sizes. Get the cheap ones and if they go bad replace them with new ones. Repairing electric valves is not hard but parts can be unavailable. With a micro-sprinkler system you will need fewer electric valves because these sprinklers operate at very low water pressure (20 to 30 pounds) and you can have many running on one line (up to as many as 70 sprinklers) at the same time.
The water pressure must be kept low. The sprinklers work best at low water pressures, so put many on a line or you might need to cut your pressure down another way. With micro-sprinkler systems you can use small pipe. You should not need any pipe larger than 3/4". Small pipe and fittings are much cheaper than larger ones. Small cheap pipe can lay on top of the ground whereas larger pipe is better buried. This costs money. If the small 3/4" pipe should get broken or freeze and break it is very cheap and easy to repair.
How much should parts cost? Electric clock = $55, electric valves = $12, 3/4" Class 125 PVC pipe + from $.45 to $2.00 per 10 foot length, PVC pipe fittings + $.11 to $1.50 each, sprinkler heads = $.85 to $1.50 each.
Where can you buy this equipment? Some suppliers advertise in the
ARS Journal
. You can write to them for information. Sprinkler clocks and electric valves can be found in the plumbing department of most hardware stores. I buy the pipe and parts at a local hardware outlet store.
How do you do it? Working with PVC plastic pipe is very easy. You can use poly pipe but PVC is much better. PVC pipe can be cut with a hack saw or any other fine toothed saw.
You will need to make a drawing of where you will want to run the pipe and where the sprinklers will go. The PVC fittings that you will need are 90 degree elbows, T's(tee's), maybe a + (cross) or two, some couplings, and some 3/4" slip x 1/2" inside thread bushings. Note that the sprinklers have 1/2" threads. You will need a coupling and a bushing for each sprinkler to glue onto the end of the 3/4" pipe.
Count the parts from the drawing and then buy at least ten more of each. Get lots of pipe. It is cheap and you will use a lot of pipe even for a small area. Get a pint can of PVC cement, clear, light bodied, fast cure. The PVC cement can should come with a round brush attached to the inside of the lid. You will also need some kind of adapter to join the 3/4" PVC pipe onto the main water supply.
Installing Your System
First, hook up to the water supply. You should use some kind of back flow preventive unit to protect your house water if that is what you hook up to. You should have a plastic slip fitting that you can glue pipe into at the water source, so let's get started gluing!
Use the round brush from the glue can and coat the inside of the fitting first and then the end of the pipe. Push the pipe into the fitting, turning as you push. Hold it for a few (20 seconds) and then take a rag and wipe off the extra glue around the joint. A bead of PVC glue around the outside of a joint does no good at all and looks sloppy. Gluing PVC pipe is best done in cool weather. If it is very hot outside the glue will dry too fast and you will have trouble making the connections. If it is very cold the glue will dry too slowly. The pipe and fittings must be dry for gluing. You can not do this job when it is raining.
• Inserted here: data records:
RbEu2Cl5: computed powder X-ray diffraction pattern (λ = 1.5418 Å (Cu Kα)), based on a PBE-relaxed structure.
Kinematic intensities with the Lorentz-polarization factor, no thermal factor.

Crystal structure
```
RbEu2Cl5
1.0
9.039 0.000 0.000
0.000 7.963 0.000
-0.051 0.000 12.804
Rb Eu Cl
4 8 20
Cartesian
0.083 0.414 4.268
0.057 3.567 10.670
8.930 4.396 2.134
8.905 7.549 8.536
2.274 4.504 6.332
2.249 7.440 12.734
4.487 4.147 2.281
4.462 7.797 8.683
4.526 0.166 4.121
4.500 3.816 10.523
6.739 0.523 0.070
6.713 3.459 6.472
0.285 1.347 1.037
0.260 2.634 7.439
2.468 5.501 9.141
2.494 6.444 2.739
2.595 1.333 10.479
2.620 2.648 4.077
2.590 4.404 12.766
2.616 7.540 6.364
4.170 1.262 1.310
4.144 2.719 7.712
4.844 5.244 5.093
4.818 6.701 11.495
6.372 0.423 6.440
6.397 3.559 0.038
6.367 5.315 8.727
6.393 6.630 2.325
6.494 1.520 10.066
6.520 2.462 3.663
8.728 5.329 5.366
8.702 6.616 11.768
```

Most intense lines, 5° ≤ 2θ ≤ 70°, in order of rising 2θ:
hkl	two_theta	intensity
1 0 0	9.8	197
0 2 0	22.3	245
0 1 3	23.7	1000
2 0 -2	24.1	332
2 2 -1	30.7	181
2 2 -2	33.1	460
2 0 4	34.4	127
1 3 2	38.0	162
4 0 0	39.9	187
0 3 3	40.0	202
2 1 -5	42.0	154
2 1 5	42.2	123
Run the pipe along the ground to where you want a sprinkler or a turn location. Put an electric control valve in to control the line that you are working on. Putting all of the electric valves into a manifold or valve box at one location will make things simpler in the long run.
You will probably need to cut the pipe at this spot. After cutting there will be a rough edge on the inside of the pipe that you must remove. A small knife works well, but I use my fingernail to remove the rough stuff. Try very hard to keep dirt and pipe filings out of the pipe. We want nice clean pipe so that we do not plug up the small sprinkler heads with debris.
If you are putting a sprinkler at this location, you will need to cut a riser to hold the sprinkler above the plants. The reason we are using 3/4" PVC pipe instead of 1/2" is that the 3/4" will stand upright by itself.
As you lay pipe you will need rocks, bricks, small logs or something like that to hold the pipe in place. You will also be able to put some of the pipe under ground where it crosses paths or is in the way. Just scratch a trench and put something on top to hold it down.
The PVC pipe is white colored, which may not look good. I painted the pipe with black spray paint where it showed too much. A bark or sawdust mulch will cover and hide the pipe nicely.
### Attached: materials data
For Tl3PbBr5, a crystal structure in Alexandria, relaxed with PBE gives the calculated powder XRD pattern in this record (λ = 1.5418 Å (Cu Kα)).

Crystal structure
Lattice parameters (Å, degrees): 8.6648 9.2201 15.6519 90.00 90.00 90.00
Space group P2_12_12_1 (No. 19)
One atom of each set of equivalent atoms:
Tl 0.0625 0.0857 0.2839 [4 per cell]
Tl 0.0860 0.1668 0.9782 [4 per cell]
Tl 0.2289 0.7054 0.0513 [4 per cell]
Pb 0.0771 0.5485 0.7937 [4 per cell]
Br 0.0749 0.9956 0.5264 [4 per cell]
Br 0.0858 0.8535 0.8647 [4 per cell]
Br 0.1022 0.4434 0.3890 [4 per cell]
Br 0.2207 0.2128 0.7745 [4 per cell]
Br 0.2330 0.3481 0.1491 [4 per cell]

Peak list (10 most intense, 10° ≤ 2θ ≤ 90°, sorted by position)
21.84 deg, rel. 32.4
23.40 deg, rel. 32.5
28.27 deg, rel. 33.7
28.48 deg, rel. 100.0
31.27 deg, rel. 28.1
31.41 deg, rel. 46.5
31.72 deg, rel. 44.3
31.91 deg, rel. 74.5
33.03 deg, rel. 56.5
42.90 deg, rel. 27.0

For VPbBr4, a crystal structure in Alexandria, relaxed with PBE gives the calculated powder XRD pattern in this record (λ = 1.5418 Å (Cu Kα)).

Crystal structure
Lattice parameters (Å, degrees): 13.5820 4.0675 7.3838 90.00 101.03 90.00
Space group C2/m (No. 12)
One atom of each set of equivalent atoms:
V 0.0000 0.0000 0.0000 [2 per cell]
Pb 0.0000 0.5000 0.5000 [2 per cell]
Br 0.1091 0.5000 0.9022 [4 per cell]
Br 0.1215 0.0000 0.3290 [4 per cell]

Peak list (10 most intense, 10° ≤ 2θ ≤ 90°, sorted by position)
13.28 deg, rel. 99.4
25.37 deg, rel. 33.1
30.24 deg, rel. 50.2
30.74 deg, rel. 100.0
32.83 deg, rel. 24.3
40.38 deg, rel. 18.7
42.95 deg, rel. 31.2
44.38 deg, rel. 36.0
44.55 deg, rel. 19.2
54.80 deg, rel. 22.6

For PdBr2, a crystal structure in Alexandria, relaxed with PBE gives the calculated powder XRD pattern in this record (λ = 1.5418 Å (Cu Kα)).

Crystal structure
Lattice parameters (Å, degrees): 13.3468 4.7286 6.6435 90.00 99.06 90.00
Space group C2/c (No. 15)
One atom of each set of equivalent atoms:
Pd 0.0000 0.0000 0.0000 [4 per cell]
Br 0.1270 0.1517 0.2902 [8 per cell]

Peak list (10 most intense, 10° ≤ 2θ ≤ 90°, sorted by position)
13.44 deg, rel. 43.8
19.95 deg, rel. 100.0
23.55 deg, rel. 28.7
32.35 deg, rel. 30.8
35.44 deg, rel. 24.3
36.80 deg, rel. 12.8
40.55 deg, rel. 17.5
41.51 deg, rel. 19.1
41.81 deg, rel. 14.3
44.88 deg, rel. 14.8

For Pm3PdBr, a crystal structure in Alexandria, relaxed with PBE gives the calculated powder XRD pattern in this record (λ = 1.5418 Å (Cu Kα)).

Crystal structure
Lattice parameters (Å, degrees): 3.9178 10.0992 7.7462 90.00 90.00 90.00
Space group Pmmn (No. 59, origin choice 2)
One atom of each set of equivalent atoms:
Pm 0.2500 0.0624 0.1747 [4 per cell]
Pm 0.2500 0.2500 0.7393 [2 per cell]
Pd 0.2500 0.7500 0.0022 [2 per cell]
Br 0.2500 0.7500 0.5732 [2 per cell]

Peak list (10 most intense, 10° ≤ 2θ ≤ 90°, sorted by position)
11.42 deg, rel. 49.2
28.92 deg, rel. 55.9
31.11 deg, rel. 100.0
32.51 deg, rel. 35.3
33.73 deg, rel. 81.9
35.15 deg, rel. 26.6
39.19 deg, rel. 21.4
Run the pipe out and put the micro-sprinklers only where you need watering done. The sprinklers can be 15 to 20 feet apart. You can go up over structures, hang the pipe from the top of a lath house, or hook it onto a fence to get to where you will need sprinklers. This pipe is very easy to work with because it will bend quite a bit. If you make a mistake it is easy to cut a piece out and change the layout.
Some things to remember: automatic watering systems are NOT really "automatic", they need to be watched and adjusted at times; you might need to do some supplemental watering, but for the most part the micro-sprinklers will do a good job.
This system is easy to install and will save you water and money in the long run. You could be involved in the wave (spray) of the future.
E. White Smith, District #3 Director, read Jean Minch's article in the ARS Journal , Vol.41:2 (Spring 1987), and decided to install his own micro-sprinkler system. E. White Smith is the coordinator of the "Vireya Vine" newsletter for the Rhododendron Species Foundation.